specialized landscape service
for xeriscapes - native gardens - alternative landscapesbamboo eradication, eliminating weeds, landscape service, flower bed maintenance, irrigation, organic fertilizer, austin texas, bamboo removal remediation, mosquito service, targeting weeds, reduce watering, reducing irrigation
landscape vinegar: very effective organic spray that is most effective in the heat of summer to damage the foliage of + often kill outright any unwanted plant. Delivered in 1/2 gallon, undiluted quantities.
nutsedge remedy: an organic formula that disrupts the growth of actively growing nutsedge tufts, available in 16 oz. preparations. Nutsedge should not be pulled up by hand because the underground “nut” bundle will send up new replacement sprouts + often viable seed pods when the plant is significantly disturbed.
bermuda grass treatment: an organic formula that damages the sturdy bermuda rhizome, measured in 32 oz. preparations.
corn meal gluten: an effective pre-emergent treatment for weeds that occur in gravel surfaces. The pre-emergent effect of corn meal gluten causes germinating seeds to fizzle out + become non-viable. Delivered in granular bulk amount of 25-lbs.
Bamboo is one of the strongest invasive plants on the planet. In Austin, non-clumping bamboo has been running amok in certain sectors of town for decades. For clients with runaway bamboo on their grounds, we’ve developed an effective therapy.
In LifeCycle, a therapy is a procedure that takes place over the course of months. Bamboo therapy takes place with these steps:
Molecular data from another source follow:
109
Properties=species:S:1:pos:R:3 method="wB97M-V/def2-TZVPD" gap_ev=8.1571 largest_force_ha_per_bohr=0.05560 charge=+1 e_lumo_ev=-1.7 relative_energy_kj_mol=0.0 e_homo_ev=-9.90 mol_weight_g_mol=887.42
Cu -0.032 -0.023 -0.457
N 2.947 -1.256 0.644
P 1.332 -0.928 1.142
C 1.349 0.067 2.632
C 1.148 1.440 2.487
C 1.033 2.213 3.606
C 1.122 1.678 4.875
C 1.301 0.302 5.060
C 1.455 -0.482 3.948
C 0.841 -2.597 1.648
C 1.572 -3.733 1.324
C 1.103 -5.004 1.442
C -0.131 -5.210 2.027
C -0.865 -4.091 2.428
C -0.400 -2.808 2.264
P 3.640 -0.938 -0.910
C 5.422 -1.059 -0.450
C 6.188 -0.021 0.069
C 7.505 -0.201 0.393
C 8.103 -1.437 0.201
C 7.344 -2.469 -0.377
C 6.024 -2.318 -0.707
C 3.556 0.917 -0.938
C 3.479 1.670 0.246
C 3.407 3.078 0.251
C 3.538 3.724 -0.972
C 3.678 3.024 -2.143
C 3.619 1.638 -2.134
H 3.573 -1.539 1.407
H 1.069 1.861 1.502
H 0.911 3.278 3.471
H 1.004 2.262 5.775
H 1.341 -0.075 6.074
H 1.671 -1.527 4.114
H 2.582 -3.540 0.905
H 1.729 -5.831 1.111
H -0.495 -6.223 2.153
H -1.814 -4.239 2.917
H -1.037 -1.975 2.600
H 5.768 0.968 0.134
H 8.121 0.605 0.714
H 9.167 -1.481 0.407
H 7.845 -3.399 -0.669
H 5.458 -3.153 -1.159
H 3.483 1.113 1.178
H 3.287 3.568 1.208
H 3.643 4.841 -0.999
H 3.842 3.530 -3.071
H 3.668 1.062 -3.073
C 1.122 0.263 -5.142
N 0.308 -0.837 -4.687
C 0.340 -2.012 -5.583
C 0.168 -1.011 -3.315
N 0.652 -0.278 -2.390
N -0.679 -2.057 -3.053
C -1.337 -2.406 -1.877
N -2.022 -3.599 -2.043
N -1.358 -1.692 -0.818
H 0.932 0.435 -6.173
H 2.187 0.105 -4.987
H 0.834 1.185 -4.599
H 0.532 -1.608 -6.575
H -0.593 -2.553 -5.549
H 1.185 -2.645 -5.309
H 1.234 0.457 -2.781
H -1.153 -2.426 -3.851
H -1.534 -4.323 -2.558
H -2.347 -3.944 -1.184
H -1.854 -2.081 -0.045
C -3.503 2.944 -3.676
C -4.554 2.655 -2.622
C -4.836 1.188 -2.407
C -3.645 0.289 -1.907
N -3.522 0.333 -0.422
C -2.739 1.147 0.304
Se -1.380 2.167 -0.413
N -2.893 0.852 1.615
C -2.199 1.513 2.707
C -2.993 2.683 3.317
C -2.866 3.995 2.537
C -1.507 4.674 2.679
C -3.739 -0.263 1.714
C -4.153 -0.972 2.806
C -4.892 -2.111 2.555
C -5.272 -2.468 1.266
C -4.947 -1.674 0.192
C -4.111 -0.605 0.409
H -3.374 4.012 -3.806
H -3.791 2.465 -4.635
H -2.525 2.582 -3.393
H -5.481 3.116 -2.956
H -4.274 3.117 -1.658
H -5.099 0.821 -3.409
H -5.679 1.034 -1.756
H -2.677 0.641 -2.304
H -3.848 -0.721 -2.204
H -1.220 1.866 2.342
H -2.002 0.749 3.465
H -2.569 2.858 4.359
H -4.028 2.432 3.459
H -3.620 4.691 2.910
H -3.107 3.822 1.483
H -1.176 4.807 3.762
H -1.533 5.691 2.254
H -0.690 4.165 2.187
H -3.822 -0.766 3.807
H -5.226 -2.744 3.375
H -5.903 -3.316 1.072
H -5.321 -1.926 -0.782

----------

No. 1
25
Properties=species:S:1:pos:R:3 method="wB97M-V/def2-TZVPD" max_force_ha_per_bohr=0.04953 total_energy_ha=-277.07747 spin_multiplicity=2 e_above_lowest_ev=0.855 charge=+1 lumo_energy_ev="-2.629 / -9.880" e_homo_ev="-15.3 / -14.7" orbital_gap_ev="12.683 / 4.838"
C 0.728 1.753 0.723
C 0.417 2.233 2.137
C 0.633 2.804 -0.362
H 1.695 1.253 0.678
H -0.044 0.948 0.445
H 0.398 3.310 2.116
H 1.325 2.141 2.772
H 0.239 3.756 -0.030
chop: cut down living stalks of bamboo and remove root mass as necessary
trench: sever root connections to any surrounding stand of bamboo
_What comes next are quantum chemistry results, not part of the entry_
- - -
This record from the Open Molecules 2025 dataset describes a molecular structure, C45H50MgN4S2 at a distorted geometry. The level of theory is the ωB97M-V functional and the def2-TZVPD basis.

The value obtained for the max |F| is 1.97 eV/A. Its net charge is -2. The value obtained for the HOMO energy is -1.31 eV. For the energy relative to the best compared isomer or geometry (same formula, charge and spin), the calculation gives 18.5 kcal/mol. The total energy comes out at -80555.28111 eV. The calculation puts the HOMO-LUMO gap at 5.836 eV. The LUMO energy comes out at 4.53 eV.

XYZ file:
```
102
Properties=species:S:1:pos:R:3:forces:R:3
Mg 0.304040 0.340201 0.069252 -0.30 0.47 0.52
N -0.190561 0.947614 2.258719 0.45 -0.04 0.01
C -1.446157 1.499361 2.393080 -0.72 0.22 0.13
C -1.599687 2.744918 2.997801 0.16 0.09 -0.03
C -2.829299 3.377049 3.052217 0.04 -0.03 0.02
C -3.935651 2.760789 2.495065 -0.18 0.17 0.10
C -3.799149 1.508282 1.919365 -0.01 0.14 0.14
C -2.577594 0.842491 1.872204 -0.15 0.29 0.13
C -2.516679 -0.471125 1.210414 0.03 -0.44 -0.22
C -3.566938 -1.364974 1.437952 -0.14 0.09 0.13
C -3.675266 -2.524242 0.696999 -0.29 -0.10 0.06
C -2.725255 -2.791083 -0.276919 0.00 -0.14 -0.06
C -1.657629 -1.927809 -0.445780 -0.09 -0.14 -0.14
C -1.487467 -0.753529 0.297779 -0.59 -0.03 0.09
H 0.554307 1.392913 2.776549 0.00 -0.10 -0.08
H -0.129544 -0.061298 2.266078 0.03 -0.14 0.21
H -0.721771 3.230883 3.405582 0.06 0.03 0.05
H -2.912755 4.347217 3.526038 0.00 0.04 -0.03
H -4.895394 3.262617 2.495679 -0.04 -0.03 0.00
H -4.661353 1.047813 1.452004 0.04 -0.08 0.01
H -4.289872 -1.149528 2.220145 -0.07 0.00 -0.06
H -4.510483 -3.196856 0.860833 0.03 -0.06 0.05
H -2.805916 -3.689444 -0.882712 -0.01 0.02 -0.02
H -0.914183 -2.178274 -1.191980 0.05 -0.04 -0.02
S 1.619186 -1.567467 -1.618162 0.23 -0.33 -0.38
C 2.569073 0.508386 -0.717963 1.85 0.49 -0.45
N 2.087733 1.522671 0.122349 -0.43 0.29 0.21
C 2.968090 2.472910 0.400747 0.28 0.15 0.01
C 2.755702 3.589010 1.225458 -0.21 -0.10 -0.02
C 3.766464 4.509981 1.418224 0.13 0.24 0.10
C 5.012127 4.361754 0.826879 0.34 0.37 0.18
C 5.266278 3.255288 0.015666 -0.07 0.02 0.03
C 4.263595 2.347962 -0.187506 0.05 -0.29 -0.16
S 4.350683 0.899662 -1.175130 -0.26 0.04 0.25
H 1.788513 3.709363 1.695111 -0.09 0.06 0.02
H 3.578275 5.373685 2.048502 0.01 -0.01 0.01
H 5.792064 5.092990 0.999065 0.00 0.05 0.02
H 6.234249 3.109849 -0.452081 0.00 0.05 0.02
C 5.595358 -0.275648 1.977655 -0.20 0.01 -0.02
C 4.140953 -0.011784 2.363390 0.13 0.04 0.04
C 4.052752 1.023449 3.491578 0.02 -0.01 -0.28
C 3.384723 -1.253340 2.782259 -0.05 0.13 -0.17
C 3.839095 -1.935343 3.896489 0.14 -0.21 0.02
C 3.108248 -2.956610 4.475097 0.11 -0.06 0.16
C 1.859012 -3.238838 3.953213 0.09 -0.11 0.11
C 1.357084 -2.573917 2.849465 -0.07 0.06 -0.12
C -0.037487 -2.916028 2.381027 -0.08 -0.08 -0.01
C -0.135249 -4.330805 1.802107 0.00 0.25 -0.03
C -1.054351 -2.741775 3.513733 0.05 -0.02 -0.21
C 2.141193 -1.596508 2.174125 0.17 -0.06 0.30
- - -
_The quantum chemistry results stop here_
barrier: install a sturdy barrier of steel or thick plastic to a proper depth inside the trench.
provoke: encourage the bamboo to regrow with irrigation + fertilizer
treat: respond to new growth with a combination of chopping, landscape vinegar + orange oil dousing
repeat: continue provoking + treating the diminished bamboo until the infestation is exhausted + dead
intensive weed focus: there are a couple of spikes in weed growth during the year– in the early spring season + after the fall season’s rainy coolness, but before the first freeze f winter. For sites with particular weed problems in these special times, a concentrated effort of hand weed pulling + dark harvesting can be helpful at reigning in problem areas.
Dark harvesting is carefully collecting sprouting weed seeds + securing them into the trash, rather than letting them get back into the soil to germinate later.
search + destroy: most monthly visits start with a mission through the garden to take out obvious weedy interlopers in gravel areas, planted buffers + along edges
Weeds are simply unwanted vegetation in the landscape. Even an otherwise desirable plant that’s in the wrong place can be considered a weed. Some weeds exist in a project site from many seasons before, while some new weeds can arrive blown in on the wind after a project’s complete.
Pre-existing weeds can be particularly tough to overcome after a change to the landscape. They fight hard to reestablish themselves by resprouting from rhizomes left in the ground and from the soil’s seed bank (the reserve seeds of past weeds that have been hiding, waiting for their chance to germinate).